Data =
┌──
[1]
VASP calculation (GGA-PBE) on a geometry-optimized KNaSrTl structure.

abc: 8.6177 8.6177 8.6177
angles: 90.00 90.00 90.00
Closest atoms and distances in Å follow each position.
Space group F-43m (No. 216)
One atom of each set of equivalent atoms:
K 0.0000 0.0000 0.0000 x4  4 Na 3.73, 4 Tl 3.73
Na 0.2500 0.2500 0.2500 x4  4 K 3.73, 4 Sr 3.73
Sr 0.0000 0.0000 0.5000 x4  4 Tl 3.73, 4 Na 3.73
Tl 0.2500 0.2500 0.7500 x4  4 K 3.73, 4 Sr 3.73

Computed properties:
Energy of formation from the pure elements (kJ/mol of atoms): -4

[2]
VASP calculation (GGA-PBE) on a geometry-optimized KNa2SrTl structure.

abc: 6.2181 6.2181 6.3964
angles: 90.00 90.00 90.00
Closest atoms and distances in Å follow each position.
Space group P4/mmm (No. 123)
One atom of each set of equivalent atoms:
K 0.0000 0.0000 0.0000 x1  4 Sr 4.40, 8 Na 4.46
Na 0.0000 0.5000 0.5000 x2  2 Tl 3.11
Sr 0.5000 0.5000 0.0000 x1  2 Tl 3.20
Tl 0.5000 0.5000 0.5000 x1  4 Na 3.11, 2 Sr 3.20

Computed properties:
Energy of formation from the pure elements (kJ/mol of atoms): 2

[3]
VASP calculation (GGA-PBE) on a geometry-optimized KNaSr2Zn structure.

abc: 6.2587 6.2587 6.4959
angles: 90.00 90.00 90.00
Closest atoms and distances in Å follow each position.
Space group P4/mmm (No. 123)
One atom of each set of equivalent atoms:
K 0.0000 0.0000 0.0000 x1  2 Zn 3.25
Na 0.5000 0.5000 0.0000 x1  4 K 4.43, 8 Sr 4.51
Sr 0.0000 0.5000 0.5000 x2  2 Zn 3.13
Zn 0.0000 0.0000 0.5000 x1  4 Sr 3.13, 2 K 3.25

Computed properties:
Energy relative to the lowest polymorph listed for this composition (meV per atom): 30
Energy of formation from the pure elements (kJ/mol of atoms): 8

[4]
VASP calculation (GGA-PBE) on a geometry-optimized KNaSr2Zn structure.

abc: 6.3171 6.3171 6.0473
angles: 90.00 90.00 90.00
Closest atoms and distances in Å follow each position.
Space group P4/mmm (No. 123)
One atom of each set of equivalent atoms:
K 0.0000 0.0000 0.0000 x1  8 Sr 4.37, 4 Na 4.47
Na 0.5000 0.5000 0.0000 x1  2 Zn 3.02
Sr 0.0000 0.5000 0.5000 x2  2 Zn 3.16
Zn 0.5000 0.5000 0.5000 x1  2 Na 3.02, 4 Sr 3.16

Computed properties:
Energy relative to the lowest polymorph listed for this composition (meV per atom): 0
Energy of formation from the pure elements (kJ/mol of atoms): 5

[5]
VASP calculation (GGA-PBE) on a geometry-optimized KNaTa2 structure.

abc: 9.0864 9.0864 5.1945
angles: 90.00 90.00 90.00
Closest atoms and distances in Å follow each position.
Space group I-42d (No. 122)
One atom of each set of equivalent atoms:
K 0.0000 0.0000 0.0000 x4  2 Na 2.60
Na 0.0000 0.0000 0.5000 x4  2 K 2.60
Ta 0.2363 0.7500 0.6250 x8  2 Ta 2.61

Computed properties:
Energy relative to the lowest polymorph listed for this composition (meV per atom): 0
Energy of formation from the pure elements (kJ/mol of atoms): 185

[6]
VASP calculation (GGA-PBE) on a geometry-optimized K2NaTa structure.

abc: 9.7519 9.7519 7.0184
angles: 90.00 90.00 90.00
Closest atoms and distances in Å follow each position.
Space group I-42d (No. 122)
One atom of each set of equivalent atoms:
K 0.2437 0.2500 0.1250 x8  2 K 3.51, 2 Na 3.52, 2 Ta 3.60
Na 0.0000 0.0000 0.0000 x4  2 Ta 3.51, 4 K 3.52
Ta 0.0000 0.0000 0.5000 x4  2 Na 3.51, 4 K 3.60

Computed properties:
Energy relative to the lowest polymorph listed for this composition (meV per atom): 92
Energy of formation from the pure elements (kJ/mol of atoms): 144

[7]
VASP calculation (GGA-PBE) on a geometry-optimized K2NaTa structure.

abc: 8.6956 8.6956 8.6956
angles: 90.00 90.00 90.00
Closest atoms and distances in Å follow each position.
Space group Fm-3m (No. 225)
One atom of each set of equivalent atoms:
K 0.2500 0.2500 0.2500 x8  4 Ta 3.77, 4 Na 3.77
Na 0.0000 0.0000 0.0000 x4  8 K 3.77
Ta 0.0000 0.0000 0.5000 x4  8 K 3.77

Computed properties:
Energy relative to the lowest polymorph listed for this composition (meV per atom): 0
Energy of formation from the pure elements (kJ/mol of atoms): 135

[8]
VASP calculation (GGA-PBE) on a geometry-optimized KNaTa2 structure.
└──
Exercise =
Search the data further up for the word "meV" and repeat each line that has it, please.
Reply =
Energy relative to the lowest polymorph listed for this composition (meV per atom): 30
Energy relative to the lowest polymorph listed for this composition (meV per atom): 0
Energy relative to the lowest polymorph listed for this composition (meV per atom): 0
Energy relative to the lowest polymorph listed for this composition (meV per atom): 92
Energy relative to the lowest polymorph listed for this composition (meV per atom): 0